### Source
'''
No. 1
The following is a quantum chemistry calculation of the molecule C3H4F3NO2S at a distorted geometry, from OMol25.

For the HOMO energy, the calculation gives -0.3763 hartree. The total energy is -1019.66290 Eh. For the HOMO-LUMO gap, the calculation gives 10.4507 eV.

```
14
Properties=species:S:1:pos:R:3:forces:R:3:mulliken_charge:R:1
C -0.43050 0.39852 -0.24737 -0.1806 0.8033 0.3229 -0.0657
C 0.16546 0.05538 -1.56545 0.9394 1.6146 1.3163 -0.4978
C -1.81204 -0.25409 1.51052 -1.9645 -0.4776 -1.0358 0.9183
N -1.30941 -0.37230 0.20891 0.0680 0.0019 -0.4690 -0.4828
O 2.24270 0.15981 0.96493 -0.3982 0.7630 1.4814 -0.4473
O 1.57844 0.27931 -1.51203 0.3260 0.5369 -0.0938 -0.3379
F -3.19535 -0.10390 1.44787 1.5261 0.3020 0.2420 -0.2726
F -1.31183 0.71803 2.26209 -0.0779 -0.1276 0.2840 -0.2392
F -1.60747 -1.45385 2.03872 0.2346 0.0261 1.2408 -0.2508
S 2.40526 -0.51668 -0.28249 1.9934 0.4834 -3.0024 0.3872
H -0.05399 1.32719 0.23949 -0.2404 -0.7066 -0.0797 0.4222
H 3.67415 0.09212 -0.90040 -1.9368 -1.1084 0.8371 0.1516
H 0.00152 -0.90965 -1.82461 -0.6567 -3.3151 -0.3087 0.3768
H -0.34694 0.58010 -2.34017 0.3676 1.2042 -0.7353 0.3381
```
Positions in Å, forces in eV/Å.

No. 2
The following is a quantum chemistry calculation of a cluster of 3 separate species, C3H4FIO in total at a distorted geometry, from OMol25.

For the HOMO energy, the calculation gives -0.3646 hartree. The total energy is -589.43945 Eh. For the HOMO-LUMO gap, the calculation gives 10.5288 eV.

```
10
Properties=species:S:1:pos:R:3:forces:R:3:mulliken_charge:R:1
C 1.42116 1.98728 -0.46746 1.1565 0.2543 0.1166 0.1671
C -0.95345 0.16125 1.46581 1.8414 0.4473 -1.0643 -0.5438
C -0.08252 -0.82978 1.29397 -1.3881 -0.5482 0.0754 0.0844
O 2.52961 2.20764 -0.38877 -0.9708 -0.2175 -0.0876 -0.2129
F 1.14908 -0.44737 0.93639 0.9370 -0.0997 -0.3236 -0.1973
I -1.35852 2.97224 -2.53691 -0.9381 -0.3826 -0.3273 -0.0511
H -0.01086 3.64717 -2.13264 0.8065 0.4400 0.2290 0.0716
H -1.95518 0.36413 1.73302 -0.8935 -1.0482 0.3406 0.2986
H -0.46439 1.06160 1.09193 -0.1401 0.2386 0.5122 0.0884
H -0.11905 -1.93790 1.26491 -0.4108 0.9159 0.5290 0.2950
```
Positions in Å, forces in eV/Å.

No. 3
The following is a quantum chemistry calculation of a structure of composition C3H4FMgO2 at a distorted geometry, from OMol25.

The total charge is +2. For the HOMO energy (spin up / spin down), the calculation gives -0.6817 / -0.6682 hartree. The total energy is -566.26044 Eh. For the HOMO-LUMO gap (spin up / spin down), the calculation gives 6.2920 / 5.9466 eV. As for the spin multiplicity: 2.

```
11
Properties=species:S:1:pos:R:3:forces:R:3:mulliken_charge:R:1
O 0.98614 -0.66229 0.57434 1.8490 0.4152 -1.9872 -0.2570
Mg 2.62612 1.37772 -1.06368 -0.1730 -0.4186 0.2714 1.1593
C 1.81270 0.28806 0.68142 -1.4032 -0.0634 0.6755 0.7704
C -0.43789 -0.52124 0.67026 -2.3994 0.7488 -1.9730 -0.4565
H -0.67382 0.37604 1.24712 -0.1097 -0.5112 0.3207 0.3564
H -0.82416 -1.47757 1.02426 -0.0691 0.3734 0.0903 0.3677
F 1.63653 0.97357 1.77321 0.4131 0.3532 -0.3648 -0.1411
C -1.16937 -0.15289 -0.97289 0.6707 -0.9402 2.9863 -0.2322
O -0.68181 0.88529 -1.61045 1.1734 0.1868 0.1094 -0.2795
H -2.24164 -0.02186 -0.73161 0.1218 -0.2117 -0.1425 0.3579
H -1.03281 -1.06483 -1.59200 -0.0736 0.0678 0.0139 0.3546
```
Positions in Å, forces in eV/Å.

No. 4
The following is a quantum chemistry calculation of a cluster of 2 separate species, C3H4FN in total at a distorted geometry, from OMol25.

For the HOMO energy (spin up / spin down), the calculation gives -0.2951 / -0.2953 hartree. The total energy is -271.06736 Eh. For the HOMO-LUMO gap (spin up / spin down), the calculation gives 7.3536 / 7.3616 eV.

```
9
Properties=species:S:1:pos:R:3:forces:R:3:mulliken_charge:R:1
C -0.12835 -2.29546 -0.23891 0.6180 0.7296 -0.3926 -0.4174
C -0.58105 1.79209 -0.10096 0.3245 0.2229 -0.0335 -0.2731
C 1.00822 -0.06044 0.03780 -0.4257 -3.8427 0.3504 0.0829
N 0.38093 0.98061 -0.06104 -0.6687 1.5917 -0.1204 -0.0053
'''

### Brief
Your job: retype every line above that contains the word "composition".

### Solution
The following is a quantum chemistry calculation of a structure of composition C3H4FMgO2 at a distorted geometry, from OMol25.